Grief Starts Before Death

Chris Paul, social psychologist and director of the TrauerInstitut Deutschland, describes four tasks of mourning: grasping the reality of death and loss @ living through the diversity of feelings to perceive and shape changes in the environment @ assigning a new place to the dead person As a loved one, you must somehow manage these … Grief Starts Before Death

Mental Health

The World Health Organization (WHO) is sounding the alarm: negative stress is the greatest health threat of the 21st century. And depression – currently the fourth most common cause of illness worldwide – is expected to be the most widespread health impairment after cardiovascular disease by 2020. In scientific terms, the soul is identical to … Mental Health

The different phases of grief

(Unrelated to this text: quantum chemistry results)
-- begin --
Entry 1:
The following is a DFT calculation (ωB97M-V with the def2-TZVPD basis set) of 3 unconnected molecules or ions with the total composition CH7O2S.

```
11
Properties=species:S:1:pos:R:3:forces:R:3:lowdin_charge:R:1
C -0.583980 -0.060746 -0.994712 0.526 -0.208 -0.345 -0.6662
S 0.447136 0.175526 0.499103 -0.178 -0.075 0.032 0.2074
H -0.861995 -1.111112 -1.113766 -0.376 0.062 0.243 -0.0085
H -1.457185 0.583903 -0.941422 -0.220 -0.156 -0.107 -0.0148
H -0.056030 0.150035 -1.933446 0.125 0.325 0.201 -0.0081
H 3.722082 -0.202003 -0.033832 0.145 0.080 -0.084 0.0001
H 2.534026 0.678885 -0.131803 -0.110 0.182 -0.101 -0.1332
O 3.501569 0.687307 -0.333708 -0.028 -0.254 0.140 -0.1739
H -2.835028 0.138114 2.177348 0.317 -0.402 -0.493 0.0233
H -1.728903 -0.496269 1.305677 0.391 0.249 0.016 -0.0895
O -2.681693 -0.543640 1.500561 -0.592 0.197 0.499 -0.1366
```
Forces are in eV/Å.

- relative energy (zero: lowest compared OMol25 entry of this formula, charge and spin) (kcal/mol) = 2.1
- Kohn-Sham gap (eV) = 6.92
- electronic energy (a.u.) = -591.00905
- charge = -1

Entry 2:
The following is a DFT calculation (ωB97M-V with the def2-TZVPD basis set) of a molecular structure, C28H25ClNPPt at a distorted geometry.

```
57
Properties=species:S:1:pos:R:3:forces:R:3:lowdin_spin:R:1
C 1.981251 -2.199117 -1.102648 -0.215 0.026 -0.675 0.0039
C 2.094132 -1.453710 -2.292707 -1.186 -1.548 -0.119 0.0708
C 0.763574 -1.443884 -2.964256 0.635 -0.546 1.358 0.0902
H 2.999280 -1.099765 -2.750749 0.082 0.188 -0.032 0.0017
C -0.139678 -2.145186 -2.046036 1.485 -0.790 -0.305 0.0304
C 0.623362 -2.611000 -0.964219 0.020 -0.043 -0.768 0.0529
H 0.284884 -3.267991 -0.173329 -0.263 0.166 0.180 0.0052
H 2.788574 -2.483626 -0.426197 -0.174 0.303 -0.117 -0.0013
H 0.620583 -1.280176 -4.030341 -0.052 0.099 0.137 0.0087
H -1.181123 -2.369336 -2.219988 -0.095 0.102 -0.085 -0.0009
Pt 0.715473 0.551863 -2.112774 0.568 0.835 -0.522 1.1507
Cl 2.568489 1.703673 -2.813266 0.779 0.540 0.739 0.1986
C 1.168465 2.309899 -5.338986 0.027 -1.092 -1.332 0.0040
C -0.060813 1.666951 -5.670837 1.189 -0.406 -0.463 0.0072
C 0.251266 0.429481 -6.326693 0.774 0.647 0.157 0.0035
H -1.050446 2.085258 -5.539616 -0.062 -0.067 0.150 0.0001
C 1.681261 0.309881 -6.393462 -0.744 1.027 0.228 0.0021
C 2.247764 1.468812 -5.783528 -1.518 0.110 -0.621 0.0029
H 3.304369 1.693558 -5.727121 -0.008 -0.040 0.208 0.0008
H 1.271911 3.279594 -4.878265 0.005 -0.028 0.215 0.0001
H -0.457796 -0.239757 -6.803339 -0.023 -0.069 0.182 0.0002
H 2.236581 -0.463330 -6.916723 -0.064 -0.070 0.179 0.0001
N -0.188037 0.349852 -0.462162 -2.986 -0.031 7.060 0.2234
P -0.500526 0.188947 1.189099 1.713 0.564 -7.187 0.0855
C -2.120117 -0.528611 1.583642 -0.701 -0.263 0.587 0.0195
C -2.619519 -0.580412 2.899512 -0.338 -0.230 0.083 0.0034
C -3.797161 -1.280607 3.189193 -0.221 -0.180 -0.398 0.0013
C -4.510914 -1.910206 2.159745 0.145 0.010 -0.262 0.0001
C -4.057370 -1.794909 0.839672 0.059 0.140 0.335 0.0004
-- stop --

Definition The term mourning describes a state of mind that occurs as a reaction to a distressing event. The distressing event is not further defined and can basically be understood differently by each person. Often losses of close persons, important relations or other blows of fate are reasons for grief for many humans. The definition … The different phases of grief

Stomach ache due to psyche

Introduction Problems of the psyche or anxiety-laden situations are often reflected in stomach aches. Everybody knows the unpleasant gut feeling, for example before exam situations. This is particularly common in children. Causes The term “psychosomatic” is used to describe mental and psychological complaints/worries and/or inner-psychic conflicts, which manifest themselves in physical complaints, often including stomach … Stomach ache due to psyche

Psychogenic abdominal pain in children | Stomach ache due to psyche

Psychogenic abdominal pain in children Abdominal pain is one of the most common symptoms expressed by children. Often, especially in the case of recurring abdominal pain, no organic cause in the sense of a physical illness can be found. This is often called navel colic in children. Meanwhile it is assumed that every fifth child … Psychogenic abdominal pain in children | Stomach ache due to psyche

Psychogenic Depression | What types of depression are there?

Psychogenic Depression Three types of depression are summarized here under psychogenic depression: Reactive depression (outdated term), neurotic depression (outdated term) and exhaustion depression. What all three forms of depression have in common is that they are triggered by a specific emotional event, such as traumatic experiences. Examples are divorce, death of a close relative, loss … Psychogenic Depression | What types of depression are there?

Winter Depression | What types of depression are there?

Winter Depression In technical jargon, winter depression is referred to as seasonal depression. In the classification of mental disorders, it is subsumed under recurrent depressive disorders. As the name suggests, this type of depression occurs mainly in the winter months. This is probably related to the lack of daylight during this time of year, which … Winter Depression | What types of depression are there?